== Excerpt ==
~~~
Density functional theory data (GGA-PBE) for a relaxed MnSe2Br crystal.

Cell and atoms, written as POSCAR:
```
MnSe2Br
1.0
1.6847 0.0000 12.8820
-0.8423 1.4590 12.8820
-0.8423 -1.4590 12.8820
Mn Se Br
1 2 1
direct
0.0000 0.0000 0.0000
0.0591 0.0591 0.0591
0.9409 0.9409 0.9409
0.5000 0.5000 0.5000
```

Energy above the most stable polymorph in this dataset (meV/atom): 915
Spin magnetization (μB/f.u.): 0.0
Crystal system: trigonal
Volume (A^3/atom): 23.75
Formation energy without anion corrections (kJ/mol of atoms): 53

=====

## Ag2Sb2S (PBE)

Data for Ag2Sb2S after structural relaxation.

Structure (POSCAR):
```
Ag2Sb2S
1.0
-5.7712 -3.6844 2.2042
-1.8751 -1.1591 -6.8469
2.4009 -3.7721 -0.0189
Ag Sb S
4 4 2
direct
0.1457 0.3543 0.0000
0.3543 0.8543 0.0000
0.6457 0.1457 0.0000
0.8543 0.6457 0.0000
0.8581 0.3581 0.5000
0.3581 0.1419 0.5000
0.1419 0.6419 0.5000
0.6419 0.8581 0.5000
0.5000 0.5000 0.0000
0.0000 0.0000 0.0000
```

Results
The value obtained for the magnetization is 0.000 μB/atom. As for the raw formation energy: 0.284 eV per atom. Its crystal system is tetragonal.

***

## Ag2Sb3S8 (PBE)

Data for Ag2Sb3S8 after structural relaxation.

Structure (POSCAR):
```
Ag2Sb3S8
1.0
-5.6194 0.0346 -3.3826
-0.1114 -7.4060 0.1093
-2.3152 3.8260 5.8699
Ag S Sb
2 8 3
direct
0.4113 0.2861 0.5721
0.5887 0.7139 0.4279
0.3664 0.3545 0.2436
0.9113 0.6249 0.2499
0.0887 0.3751 0.7501
0.6336 0.6455 0.7564
0.8509 0.1207 0.2414
0.1491 0.8793 0.7586
0.6336 0.1109 0.7564
0.3664 0.8891 0.2436
0.0000 0.2556 0.0000
0.0000 0.7444 0.0000
0.5000 0.0000 0.0000
```

Results
The value obtained for the magnetization is 0.000 μB/atom. As for the raw formation energy: -0.033 eV per atom. Its crystal system is monoclinic.

***

## AgSbS2 (PBE)

Data for AgSbS2 after structural relaxation.

Structure (POSCAR):
```
AgSbS2
1.0
-5.2961 -2.4986 -0.3024
2.4039 -5.2304 1.1168
-2.2656 -2.8920 6.7261
Sb Ag S
2 2 4
direct
0.0000 0.0000 0.0000
0.7500 0.2500 0.5000
0.5000 0.5000 0.0000
0.2500 0.7500 0.5000
0.3750 0.3841 0.7500
0.1341 0.6250 0.2500
0.6159 0.1250 0.2500
0.8750 0.8659 0.7500
```

Results
The value obtained for the magnetization is 0.000 μB/atom. As for the raw formation energy: -0.033 eV per atom. Its crystal system is tetragonal.

=====

1.
{"formula": "Ce2Nd3DyP6", "functional": "PBE", "state": "optimized geometry", "sg": "No. 12", "delta_e_f_mev_per_atom": -1545, "lattice_angstrom": [[-0.296, 1.669, 6.910], [6.069, -2.417, -2.820], [-0.086, 6.549, -2.806]], "species": ["Ce", "P", "P", "Nd", "P", "Nd", "P", "Dy", "P", "Nd", "Ce", "P"], "fractional_positions": [[0.333, 0.667, 0.000], [0.080, 0.413, 0.240], [0.413, 0.080, 0.240], [0.500, 0.500, 0.500], [0.920, 0.587, 0.760], [0.167, 0.833, 0.500], [0.253, 0.253, 0.758], [0.000, 0.000, 0.000], [0.747, 0.747, 0.242], [0.833, 0.167, 0.500], [0.667, 0.333, 0.000], [0.587, 0.920, 0.760]]}



2.
{"formula": "LiCeScFe", "functional": "PBE", "state": "optimized geometry", "sg": "No. 216", "delta_e_f_mev_per_atom": 80, "lattice_angstrom": [[4.711, 0.000, 0.000], [2.356, 4.080, 0.000], [2.356, 1.360, 3.847]], "species": ["Fe", "Sc", "Li", "Ce"], "fractional_positions": [[0.000, 0.000, 0.000], [0.750, 0.750, 0.750], [0.500, 0.500, 0.500], [0.250, 0.250, 0.250]]}



3.
{"formula": "UTi3Pd12", "functional": "PBE", "state": "optimized geometry", "sg": "No. 123", "delta_e_f_mev_per_atom": -586, "lattice_angstrom": [[-3.850, -1.051, -0.019], [0.714, -2.667, 2.882], [-3.071, 11.054, 10.992]], "species": ["Pd", "Pd", "Ti", "U", "Pd", "Ti", "Pd", "Pd", "Pd", "Pd", "Pd", "Ti", "Pd", "Pd", "Pd", "Pd"], "fractional_positions": [[0.000, 0.500, 0.621], [0.500, 0.500, 0.258], [0.000, 0.000, 0.257], [0.000, 0.000, 0.000], [0.500, 0.500, 0.000], [0.000, 0.000, 0.500], [0.500, 0.000, 0.136], [0.000, 0.500, 0.864], [0.000, 0.500, 0.379], [0.000, 0.500, 0.136], [0.500, 0.000, 0.864], [0.000, 0.000, 0.743], [0.500, 0.000, 0.379], [0.500, 0.000, 0.621], [0.500, 0.500, 0.742], [0.500, 0.500, 0.500]]}



4.
~~~

== Wanted ==
Please set down the contents further above from the line with "-0.8423 1.4590" to the end exactly.

== Result ==
-0.8423 1.4590 12.8820
-0.8423 -1.4590 12.8820
Mn Se Br
1 2 1
direct
0.0000 0.0000 0.0000
0.0591 0.0591 0.0591
0.9409 0.9409 0.9409
0.5000 0.5000 0.5000
```

Energy above the most stable polymorph in this dataset (meV/atom): 915
Spin magnetization (μB/f.u.): 0.0
Crystal system: trigonal
Volume (A^3/atom): 23.75
Formation energy without anion corrections (kJ/mol of atoms): 53

=====

## Ag2Sb2S (PBE)

Data for Ag2Sb2S after structural relaxation.

Structure (POSCAR):
```
Ag2Sb2S
1.0
-5.7712 -3.6844 2.2042
-1.8751 -1.1591 -6.8469
2.4009 -3.7721 -0.0189
Ag Sb S
4 4 2
direct
0.1457 0.3543 0.0000
0.3543 0.8543 0.0000
0.6457 0.1457 0.0000
0.8543 0.6457 0.0000
0.8581 0.3581 0.5000
0.3581 0.1419 0.5000
0.1419 0.6419 0.5000
0.6419 0.8581 0.5000
0.5000 0.5000 0.0000
0.0000 0.0000 0.0000
```

Results
The value obtained for the magnetization is 0.000 μB/atom. As for the raw formation energy: 0.284 eV per atom. Its crystal system is tetragonal.

***

## Ag2Sb3S8 (PBE)

Data for Ag2Sb3S8 after structural relaxation.

Structure (POSCAR):
```
Ag2Sb3S8
1.0
-5.6194 0.0346 -3.3826
-0.1114 -7.4060 0.1093
-2.3152 3.8260 5.8699
Ag S Sb
2 8 3
direct
0.4113 0.2861 0.5721
0.5887 0.7139 0.4279
0.3664 0.3545 0.2436
0.9113 0.6249 0.2499
0.0887 0.3751 0.7501
0.6336 0.6455 0.7564
0.8509 0.1207 0.2414
0.1491 0.8793 0.7586
0.6336 0.1109 0.7564
0.3664 0.8891 0.2436
0.0000 0.2556 0.0000
0.0000 0.7444 0.0000
0.5000 0.0000 0.0000
```

Results
The value obtained for the magnetization is 0.000 μB/atom. As for the raw formation energy: -0.033 eV per atom. Its crystal system is monoclinic.

***

## AgSbS2 (PBE)

Data for AgSbS2 after structural relaxation.

Structure (POSCAR):
```
AgSbS2
1.0
-5.2961 -2.4986 -0.3024
2.4039 -5.2304 1.1168
-2.2656 -2.8920 6.7261
Sb Ag S
2 2 4
direct
0.0000 0.0000 0.0000
0.7500 0.2500 0.5000
0.5000 0.5000 0.0000
0.2500 0.7500 0.5000
0.3750 0.3841 0.7500
0.1341 0.6250 0.2500
0.6159 0.1250 0.2500
0.8750 0.8659 0.7500
```

Results
The value obtained for the magnetization is 0.000 μB/atom. As for the raw formation energy: -0.033 eV per atom. Its crystal system is tetragonal.

=====

1.
{"formula": "Ce2Nd3DyP6", "functional": "PBE", "state": "optimized geometry", "sg": "No. 12", "delta_e_f_mev_per_atom": -1545, "lattice_angstrom": [[-0.296, 1.669, 6.910], [6.069, -2.417, -2.820], [-0.086, 6.549, -2.806]], "species": ["Ce", "P", "P", "Nd", "P", "Nd", "P", "Dy", "P", "Nd", "Ce", "P"], "fractional_positions": [[0.333, 0.667, 0.000], [0.080, 0.413, 0.240], [0.413, 0.080, 0.240], [0.500, 0.500, 0.500], [0.920, 0.587, 0.760], [0.167, 0.833, 0.500], [0.253, 0.253, 0.758], [0.000, 0.000, 0.000], [0.747, 0.747, 0.242], [0.833, 0.167, 0.500], [0.667, 0.333, 0.000], [0.587, 0.920, 0.760]]}



2.
{"formula": "LiCeScFe", "functional": "PBE", "state": "optimized geometry", "sg": "No. 216", "delta_e_f_mev_per_atom": 80, "lattice_angstrom": [[4.711, 0.000, 0.000], [2.356, 4.080, 0.000], [2.356, 1.360, 3.847]], "species": ["Fe", "Sc", "Li", "Ce"], "fractional_positions": [[0.000, 0.000, 0.000], [0.750, 0.750, 0.750], [0.500, 0.500, 0.500], [0.250, 0.250, 0.250]]}



3.
{"formula": "UTi3Pd12", "functional": "PBE", "state": "optimized geometry", "sg": "No. 123", "delta_e_f_mev_per_atom": -586, "lattice_angstrom": [[-3.850, -1.051, -0.019], [0.714, -2.667, 2.882], [-3.071, 11.054, 10.992]], "species": ["Pd", "Pd", "Ti", "U", "Pd", "Ti", "Pd", "Pd", "Pd", "Pd", "Pd", "Ti", "Pd", "Pd", "Pd", "Pd"], "fractional_positions": [[0.000, 0.500, 0.621], [0.500, 0.500, 0.258], [0.000, 0.000, 0.257], [0.000, 0.000, 0.000], [0.500, 0.500, 0.000], [0.000, 0.000, 0.500], [0.500, 0.000, 0.136], [0.000, 0.500, 0.864], [0.000, 0.500, 0.379], [0.000, 0.500, 0.136], [0.500, 0.000, 0.864], [0.000, 0.000, 0.743], [0.500, 0.000, 0.379], [0.500, 0.000, 0.621], [0.500, 0.500, 0.742], [0.500, 0.500, 0.500]]}



4.